Top 10 things I learned by getting my mind free

By | 8 mars 2018

• Records of crystals, as found in the file:
'''
Record 1
SrGeO4, relaxed, DFT GGA-PBE; electronic total energy = -70.8 eV per cell; E_form = -2.005 eV per atom
1.0
-3.579 3.579 3.495
3.579 -3.579 3.495
3.579 3.579 -3.495
Sr Ge O
2 2 8
Cartesian
0.000 3.579 1.748 Sr
0.000 0.000 3.495 Sr
0.000 0.000 0.000 Ge
3.579 0.000 1.748 Ge
2.429 2.902 2.316 O
-0.678 1.150 1.179 O
1.150 2.902 -0.568 O
-0.678 2.429 4.063 O
1.150 0.678 5.811 O
4.257 2.429 -2.316 O
4.257 1.150 0.568 O
2.429 0.678 2.927 O

Record 2
Na8Ti2Al2Si5SO24, relaxed, DFT GGA-PBE; electronic total energy = -863.2 eV per cell; E_form = -2.866 eV per atom
1.0
-3.635 -0.702 8.097
3.380 -7.195 -3.981
19.339 4.000 9.260
O Ti Si Al Na S
72 6 15 6 24 3
Cartesian
6.625 -5.169 1.562 O
8.107 -0.622 10.439 O
-1.485 -1.493 5.273 O
12.766 2.423 14.162 O
15.484 1.894 8.519 O
5.943 -2.535 1.864 O
19.814 0.506 8.559 O
13.176 -1.337 11.544 O
3.972 -3.264 5.782 O
9.364 -2.229 8.396 O
8.267 -5.989 6.546 O
2.730 -1.809 7.734 O
18.197 -3.078 7.489 O
5.399 -4.277 3.826 O
11.818 -1.465 9.058 O
6.321 0.174 8.486 O
15.546 -3.270 7.942 O
4.191 -0.679 1.241 O
12.756 -4.071 4.872 O
10.699 -4.465 0.659 O
7.570 -1.246 6.432 O
10.074 -4.431 5.436 O
13.450 1.170 6.923 O
1.613 -0.944 1.644 O
11.045 1.260 9.483 O
12.484 1.268 11.823 O
17.818 -0.255 7.024 O
5.636 -5.051 6.460 O
-1.239 -0.422 7.360 O
16.553 2.241 12.077 O
12.252 -1.470 4.544 O
8.995 0.541 7.945 O
9.576 -1.621 5.015 O
10.780 2.037 6.843 O
11.070 -4.087 8.991 O
2.153 -2.430 3.901 O
3.136 -4.441 -0.639 O
8.020 -5.126 3.917 O
3.051 -0.604 10.052 O
1.267 -3.626 6.347 O
6.739 -2.480 8.804 O
13.690 0.405 9.571 O
17.236 -0.417 11.704 O
16.960 -1.487 9.626 O
-0.778 -4.303 4.814 O
16.053 -3.278 3.375 O
16.338 -2.094 5.614 O
19.209 -1.493 10.610 O
8.357 0.510 12.709 O
13.719 -4.725 9.036 O
15.151 -0.680 7.623 O
5.429 0.814 4.347 O
2.536 -6.293 1.392 O
7.311 -2.302 4.346 O
20.346 -3.454 5.847 O
6.313 -6.255 -0.704 O
8.028 0.067 4.445 O
0.760 -0.746 5.930 O
8.570 -3.201 1.870 O
16.032 0.547 14.000 O
17.544 -2.822 11.635 O
14.923 -3.202 12.117 O
18.141 2.369 7.857 O
3.575 -5.852 4.876 O
-0.256 -2.382 2.820 O
3.520 -0.591 5.485 O
11.508 -2.636 6.737 O
0.953 -6.215 5.438 O
10.967 -3.245 2.996 O
1.860 -3.674 1.585 O
10.512 -0.731 11.531 O
20.601 -2.276 8.228 O
8.901 1.890 14.094 Ti
11.962 -0.124 10.412 Ti
16.811 -1.811 7.421 Ti
8.012 -0.929 8.645 Ti
7.107 -3.874 2.831 Ti
2.400 -2.245 5.777 Ti
18.874 1.002 7.325 Si
9.030 -5.640 5.137 Si
10.204 -3.192 1.562 Si
14.454 0.708 8.151 Si
15.352 -4.676 8.773 Si
13.354 -2.827 12.180 Si
3.829 0.768 4.613 Si
19.824 -3.460 7.405 Si
0.206 -4.861 5.990 Si
2.148 -1.726 9.288 Si
8.911 -0.776 11.885 Si
4.649 -4.687 5.230 Si
1.330 -2.354 2.443 Si
10.959 -2.629 8.263 Si
10.045 1.766 8.271 Si
6.493 -6.402 7.303 Al
1.443 -4.796 0.046 Al
6.251 -6.596 -2.474 Al
16.430 3.308 7.932 Al
11.179 -3.063 4.849 Al
17.697 1.069 13.151 Al
13.890 -2.374 6.218 Na
5.487 -1.158 10.430 Na
1.581 -5.125 3.447 Na
14.314 -2.004 9.535 Na
12.105 -0.317 13.571 Na
6.981 -3.566 -0.210 Na
9.412 -5.848 8.734 Na
'''

If you haven’t been following my adventure, I have recently attempted to get my mind free. By free, I mean without any distractions from the day-to-day life. The idea behind this experiment is to enjoy not being disturbed at all during the tournament next week and thus be fully concentrated when I play.

Consequently, I rigorously followed a procedure aiming at regrouping and then sorting all items, thoughts, projects or ideas, globally everything that occupies my mind in a way or another.

== The page is interrupted by materials data ==
LiCoS2 | PBE-GGA | optimized geometry

Properties
- magnetic moment (μB per formula unit) = 0.00
- space group = Fd-3m
- formation energy from the elements (eV/atom) = -0.96
- mass density (g cm⁻³) = 3.78
- energy above the most stable polymorph in this dataset (eV per formula unit) = 0.20
- total energy after the MP2020 corrections (eV/atom) = -5.28

extended XYZ file:
```
16
Lattice="0.0000 4.8518 4.8518 4.8518 0.0000 4.8518 4.8518 4.8518 0.0000" Properties=species:S:1:pos:R:3 pbc="T T T"
S 5.9186 3.7849 5.9186
S 6.2108 6.2108 8.3445
S 8.3445 6.2108 6.2108
S 3.7849 3.7849 3.7849
S 8.3445 8.3445 8.3445
S 5.9186 5.9186 3.7849
S 3.7849 5.9186 5.9186
S 6.2108 8.3445 6.2108
Co 3.6388 6.0647 3.6388
Co 6.0647 6.0647 6.0647
Co 3.6388 3.6388 6.0647
Co 6.0647 3.6388 3.6388
Li 1.2129 1.2129 1.2129
Li 3.6388 3.6388 1.2129
Li 3.6388 1.2129 3.6388
Li 1.2129 3.6388 3.6388
```

* * * * *

The following is a PBE calculation of crystalline Bi2C3Br9N9 at its relaxed geometry, from Materials Project.

The structure in extended XYZ format:
```
46
Lattice="7.755 0.000 0.000 0.000 20.642 0.000 -2.349 0.000 8.189" Properties=species:S:1:pos:R:3 pbc="T T T"
Bi 0.708 3.206 1.711
Bi 0.708 7.115 1.711
Bi 4.698 13.527 6.478
Bi 4.698 17.436 6.478
C 1.517 12.125 3.079
C 1.517 18.838 3.079
C 2.714 15.481 0.920
C 2.692 5.160 7.269
C 3.889 1.804 5.110
C 3.889 8.517 5.110
Br -1.335 15.481 4.857
Br -1.718 5.160 7.808
Br -0.986 11.925 7.093
Br -0.986 19.038 7.093
Br 1.102 1.787 4.889
Br 1.102 8.533 4.889
Br 2.539 1.703 0.477
Br 2.539 8.618 0.477
Br 2.815 5.160 2.763
Br 2.591 15.481 5.426
Br 2.867 12.024 7.711
Br 2.867 18.939 7.711
Br 4.304 12.108 3.299
Br 4.304 18.854 3.299
Br 6.392 1.604 1.095
Br 6.392 8.717 1.095
Br 7.124 15.481 0.381
Br 6.741 5.160 3.332
N 0.393 12.020 2.357
N 0.393 18.943 2.357
N 0.380 15.481 7.904
N 2.113 15.481 2.233
N 1.567 12.378 4.392
N 1.567 18.585 4.392
N 2.702 11.951 2.335
N 2.702 19.011 2.335
N 2.053 5.160 5.892
N 3.353 15.481 2.296
N 2.704 1.630 5.854
N 2.704 8.690 5.854
N 3.839 2.057 3.796
N 3.839 8.264 3.796
N 3.293 5.160 5.955
N 5.026 5.160 0.285
N 5.013 1.699 5.832
N 5.013 8.622 5.832
```

Computed properties:
- total energy after the MP2020 corrections (eV/cell) = -222.320
- space-group type = P2_1/m, No. 11
- formation energy (eV/atom) = 0.612

* * * * *

1.
CsB5O8: relaxed, PBE.

Values from the calculation:
ρ = 2.6 g cm⁻³
energy above the most stable polymorph in this dataset = 1 meV per atom
DFT formation energy = -2834 meV per atom
E (MP2020) = -113.5 eV per formula unit

Lattice parameters (Å, degrees): 8.5858 21.5348 8.8208 90.00 90.00 90.00
Last column: nearest neighbours and their distance in Å.
Space group Pbca (No. 61)
Inequivalent atoms, fractional coordinates:
Cs: 0.0334 0.1186 0.1428 [8 per cell]  8 O 3.03-3.26
B: 0.0720 0.6986 0.9865 [8 per cell]  3 O 1.36-1.40
B: 0.1315 0.1194 0.5527 [8 per cell]  4 O 1.47-1.50
B: 0.1878 0.0439 0.7579 [8 per cell]  3 O 1.35-1.40
B: 0.1903 0.2316 0.5458 [8 per cell]  3 O 1.35-1.41
== The page goes on ==

Before continuing reading, I suggest you review my previous article on the subject where I describe the details of my experiment. Without it, you may not understand the following explanations. That said, here are the top 10 things I learned by getting my mind free.

1) The less clutter, the better your focus

Failing to pay close attention to the game may set you up to miss key moves. What I have observed for a few days now is how my mind stops juggling between things I’m responsible for. I can more easily focus on the task which is in front of me, without worrying about anything else that needs to be done. And if for any reason my mind starts to wander, I simply send the new piece of information to my inbox and then continue my current job.

By adopting the GTD framework, I have definitely gained mental clarity which allows me to do better quality work in less time.

2) Distress effect

Once I treated the last inbox entry, I knew everything was now under control in every area my life. It may be strange to say that but I have noticed this feeling gives me a certain form of release. I’m not occupied anymore with little worries from daily life and I know exactly where I’m at in my big projects.

I also make sure to maintain this stress-free situation by doing a regular run-through of tasks (weekly review, daily review etc. as discussed in my previous article)

3) Unconscious creativity

Since I have freed up my brain, I have also realized new ideas tend to pop up more naturally. It seems that a stress-free mind favors deep thinking and creativity too.

4) Memory boost

Science is clear about it, overloading your memory can lead to recall issues. If in addition you keep unnecessary stuff in your mind, you waste your chances of remembering what you really need at the right moment.

Wouldn’t you rather remember chess techniques or your preparation? More than retaining what you have to buy for dinner? You know which choice I made.

5) Higher productivity

If you’re constantly telling yourself, “I need to remember to do x,” you may not have a good way of capturing things in your memory. A good organization system helps you manage easily, plan and finally do the job according to your priorities. Getting your mind free requires being consistent with your system but once you control the process, it takes a huge pike on your productivity.

6) Being a trusted and reliable person

With your good system in place, you will also respect deadlines more easily. By doing so, people can now count on you more easily. Co-workers and your relatives will trust you more easily as they know you will do what they expect from you. Becoming more reliable builds trust around you and opens doors.

7) You know what is important

Sorting your inbox allows you to decide what is important to you. During the process, I got rid of the stuff that I could delegate or I didn’t need at that moment. I created a system that I trust and that supports my objectives and values.

I can now say that I really go progress towards my important life goals.

8) Gaining time

Before cleaning thoroughly my apartment, I calculated how long the whole process would take. Now that everything has its place, I tidy up more quickly, which represents a 30-minute gain, because I know where everything goes. I didn’t even mention all those times when I was looking for something and had no idea where it was.

Also, I learned how to master the 2-minute rule which saves up precious minutes here and there. When something is done, you go to the next thing and as a result, you don’t fulfill pointlessly your inbox.

9) More space than you think

I couldn’t have predicted this, but by cleaning your space and putting everything in one place, you realize that you have more available storing space than you think. And once a big part of your stuff is in the trash, this is even more impressive.

10) Economies

Lastly, another good point is you can actually earn money. Here and now, you might decide to sell some items that you don’t want to use anymore. And for the future, chances are you will understand that you don’t need as much as you initially thought to be happy, which will slow you down before any new unnecessary purchase. I have to say that was the case for me.

Let the ‘digital brain’ carry the weight

We live in a digital age, where our minds are besieged 24/7 by news or data in any form. This never-ending whirlpool of information constantly distracts us from what is in front of us.

Practicing GTD was a big game-changer for me. I can’t think of a project anymore, however little it might be, without automatically breaking it down into actions that must be completed before the project itself is done, sorted, solved. I can’t imagine an open loop disturbing me for longer than it takes to reach for a post-it, a notebook or my mobile to note it.

In a nutshell: the less clutter, the sharper your brain.

I’m convinced it will help me for my next chess battles, but beyond that, it has helped me organize my life the way I want to.

If you think you are just a messy person by nature, please think twice. Two days to begin with the method is all it takes. Try it, enjoy the results, and I promise you won’t ever look back.